Lady Satan

From Jenny Everywhere Wiki

**Records of crystals, kept here for reference:**
********
(1)
First-principles (GGA-PBE) data for a relaxed Na14La8Si7S5O48 crystal, as listed in the Materials Project database.

## Properties
Calculated formation energy (eV per atom): -2.838
M_tot (μB per formula unit): 0.0

Unit cell a=9.8418 b=16.9115 c=23.5396 alpha=89.58 beta=89.84 gamma=90.00
Fractional positions:
Na 0.0000 0.0000 0.0000
Na 0.0006 0.6634 0.6501
Na 0.0065 0.6926 0.3400
Na 0.0091 0.0479 0.6782
Na 0.0224 0.3598 0.6527
Na 0.0362 0.7010 0.9962
Na 0.0598 0.0291 0.3190
Na 0.1518 0.8570 0.9092
Na 0.1581 0.5241 0.5779
Na 0.1782 0.1774 0.2508
Na 0.1890 0.1777 0.7419
Na 0.1890 0.8424 0.4194
Na 0.1988 0.5277 0.0915
Na 0.3037 0.0321 0.8132
Na 0.3063 0.6931 0.4886
Na 0.3392 0.3633 0.1616
Na 0.3496 0.6953 0.8181
Na 0.3561 0.0005 0.5059
Na 0.3570 0.0488 0.1832
Na 0.3848 0.3429 0.8410
Na 0.4732 0.8408 0.3506
Na 0.4983 0.5012 0.0018
Na 0.5023 0.5515 0.6747
Na 0.5110 0.1962 0.3250
Na 0.5159 0.8598 0.6500
Na 0.5402 0.2005 0.9885
Na 0.5513 0.5361 0.3213
Na 0.6533 0.3583 0.9087
Na 0.6568 0.0217 0.5881
Na 0.6634 0.6785 0.2509
Na 0.6747 0.6796 0.7416
Na 0.6946 0.0130 0.0885
Na 0.7078 0.3611 0.4120
Na 0.8002 0.5332 0.8138
Na 0.8250 0.2005 0.4960
Na 0.8392 0.8552 0.1597
Na 0.8478 0.5513 0.1847
Na 0.8507 0.1918 0.8155
Na 0.8566 0.1647 0.1705
Na 0.8731 0.5127 0.5032
Na 0.8840 0.8434 0.8402
Na 0.9742 0.3485 0.3466
La 0.1688 0.5260 0.4320
La 0.1690 0.8550 0.0699
La 0.1737 0.1966 0.3996
La 0.1794 0.8509 0.5656
La 0.1790 0.8555 0.7607
La 0.1798 0.1963 0.5999
La 0.1797 0.5332 0.7346
La 0.1824 0.5400 0.2332
La 0.1819 0.8544 0.2625
La 0.1847 0.1945 0.8987
La 0.1863 0.5209 0.9304
La 0.1886 0.1957 0.0987
La 0.6703 0.3563 0.0682
La 0.6719 0.0196 0.4303
La 0.6737 0.0380 0.7312
La 0.6784 0.3550 0.7606
La 0.6787 0.0318 0.2367
La 0.6787 0.3574 0.2632
La 0.6790 0.6963 0.1010
La 0.6817 0.6962 0.5938
La 0.6845 0.6966 0.8988
La 0.6863 0.0220 0.9300
La 0.6864 0.6953 0.4037
La 0.6883 0.3563 0.5697
Si 0.0169 0.3482 0.4989
Si 0.0191 0.7023 0.1641
Si 0.0230 0.0131 0.1650
Si 0.0279 0.6805 0.8376
Si 0.3332 0.0111 0.6644
Si 0.3376 0.6797 0.3400
Si 0.3390 0.3488 0.9989
Si 0.3407 0.7032 0.6697
Si 0.3657 0.0262 0.3298
Si 0.4925 0.5242 0.8321
Si 0.5219 0.5128 0.1642
Si 0.5221 0.8504 0.5001
Si 0.5245 0.2013 0.1669
Si 0.5291 0.1797 0.8420
Si 0.8340 0.1808 0.3349
Si 0.8349 0.5143 0.6671
Si 0.8370 0.8491 0.9994
Si 0.8424 0.2018 0.6671
Si 0.8676 0.5254 0.3298
Si 0.9893 0.0255 0.8314
Si 0.9945 0.6901 0.4980
S 0.0218 0.3712 0.8292
S 0.0243 0.0413 0.4993
S 0.3315 0.3731 0.3286
S 0.3340 0.0376 0.9999
S 0.3663 0.6909 0.9956
S 0.3685 0.3612 0.6688
S 0.4901 0.8631 0.1673
S 0.4932 0.1910 0.4952
S 0.5244 0.8733 0.8289
S 0.5266 0.5365 0.4992
S 0.8326 0.5401 0.9993
S 0.8348 0.8703 0.3280
S 0.8669 0.8589 0.6691
S 0.8676 0.1899 0.9988
S 0.9890 0.3588 0.1674
O 0.0018 0.1929 0.3343
O 0.0030 0.5194 0.6641
O 0.0078 0.8548 0.9961
O 0.0121 0.2013 0.6689
O 0.0582 0.2986 0.4407
O 0.0600 0.4204 0.8784
O 0.0619 0.6249 0.7823
O 0.0645 0.0895 0.5494
O 0.0636 0.9613 0.1079
O 0.0679 0.2992 0.5559
********

Lady Satan was an occultist and superheroine, whose civilian name, at least in some universes, was Marietta. In at least one universe, her full name was in fact Marietta “Mary” Over-There and she was a cousin of Jenny Over-There.


Physical appearance

Marietta typically wore a red dress with a black coat on top, in a rather fancy style. To change into her Lady Satan persona, she merely added a domino mask to the ensemble. (PROSE: A Very Jenny Over-There Christmas)


In the 925th Universe, as a teen, Marietta wanted to believe she was special, and, drawn into a dangerous spiral of fanaticism by her forays into the occult, killed a cat as part of a ritual which she believed would destroy the world. However, she was not without empathy, and seeing her cousin's reaction to the act snapped her out of the destructive loop; from then on, plagued by nightmares of the crime and her reaction to it, a repentant Marietta pledged to use her powers for good as the heroic “Lady Satan”. Also in this universe, like Jenny, Marietta had no romantic or sexual interest in men, something she'd realised before she turned fourteen. (PROSE: A Very Jenny Over-There Christmas)

Powers & abilities

Lady Satan was a talented, knowledgeable occultist. As an adult, the 925th Universe's version of hr had mastered such abilities as teleporting across the Atlantic in an instant by stepping through a jagged red portal, and drawing “water sigils” which could cause it to rain indoors with sufficient force to quench a house-fire. (PROSE: A Very Jenny Over-There Christmas)


In the 925th Universe

In the 925th Universe, the modern Lady Satan was born as “Marietta Over-There”, the cousin of Jenny Over-There. She was active in the early 21st century, having been born around 1998; (PROSE: A Very Jenny Over-There Christmas) one account suggested that her mother and grandmother had used the persona before her. (PROSE: A Very Jenny Over-There Christmas (2024 reedit)) Her outfit consisted of a fancy red dress, a black coat, and a domino mask. She had no romantic interest in men.

She got into occultism as a teenager, and was manipulated by Nyarlathotep into sacrificing Jenny's cat Grober to Yog-Sothoth. After Jenny's horrified reaction snapped her out of it, her guilt drove her to use her magical abilities to become the superhero Lady Satan. She only made up with Jenny ten years later, in 2022, on which occasion Jenny also realised she and Lady Satan were one and the same. (PROSE: A Very Jenny Over-There Christmas)

Behind the scenes

There are a number of public-domain characters by the name of “Lady Satan”, some of them heroes and some of them villains, with various degrees of similarity and difference. One of them, who debuted in 1941 in Dynamic Comics, was originally a non-powered lady-spy character who fought the Nazis; she was later made into a sorceress battling other occult powers with no explanation given for how she'd acquired her abilities.

This Lady Satan later saw one of her adventures reprinted a few years after its printing with the name of the character changed to the less controversial “Marietta”, which Callum Phillpott made her civilian name in A Very Jenny Over-There Christmas. When revealing their version of Marietta as an Over-There and a member of the Order of the Red Key in the same story, Phillpott specified in the author's notes that “you're free to use any additions I make to either of these characters (such as surnames) in your own work”, essentially adding open-source qualities to the preexisting public-domain figure.

In other reprints, Lady Satan was instead dubbed Celeste Karloff, which is also in the public domain.

External links

Incarnations of Lady Satan
925th Universe